Garden tasks continue throughout every season. As soon as the summer ends, autumn tasks take priority. We need to save perennial plants for another year, e.g. Begonias and gladioli, propagate geraniums to retain good varieties for next year and plant up some spring flowering plants such as Iceland poppies. Harvesting crops continues with grapes and apples, and still plenty of vegetables from the allotment.
Lift tubers and corms
Both gladioli and tuberous begonias have been brilliant this year, seemingly unaffected by the lack of warmth in summer and more rain than we need or want. However their season is now over and the tubers and corms should be lifted and dried out for safe storage over winter. I retain the dry soil that falls off them to cover them in their polystyrene boxes kept in my frost free garage. The gladioli get cleaned up and all the small bulbils removed. Any that are a decent size get retained for the next year when they are planted thickly like a row of peas. They may not flower the first year, but will bulk up to a small corm for flowering the next year.

'''
Record 1
LiVF4 | PBE+U | optimized geometry

Summary:
The energy of formation from the pure elements is -18.78 eV/f.u. As for the space group: Imma, No. 74.

a b c (Å): 6.1381 6.1381 6.1381
angles (deg): 119.50 86.04 125.22
Closest atoms and distances in Å follow each position.
Fractional coordinates of all 12 atoms:
Li: 0.0000 0.0000 0.0000  6 F 2.12-2.24
Li: 0.5000 0.0000 0.5000  6 F 2.12-2.24
V: 0.5000 0.0000 0.0000  6 F 1.91-2.05
V: 0.5000 0.5000 0.5000  6 F 1.91-2.05
F: 0.2625 0.0125 0.2500  2 V 2.05, 2 Li 2.24
F: 0.2825 0.5325 0.7500  2 V 1.97
F: 0.2867 0.0000 0.7867  1 V 1.91, 2 Li 2.12
F: 0.2867 0.5000 0.2867  1 V 1.91, 2 Li 2.12
F: 0.7133 0.0000 0.2133  1 V 1.91, 2 Li 2.12
F: 0.7133 0.5000 0.7133  1 V 1.91, 2 Li 2.12
F: 0.7175 0.4675 0.2500  2 V 1.97
F: 0.7375 0.9875 0.7500  2 V 2.05, 2 Li 2.24

---

Record 2
Li2VF6 | PBE+U | optimized geometry

Summary:
The energy of formation from the pure elements is -28.10 eV/f.u. As for the space group: P1, No. 1.

a b c (Å): 9.8739 9.9616 11.3016
angles (deg): 115.92 115.76 90.14
Closest atoms and distances in Å follow each position.
Fractional coordinates of all 72 atoms:
Li: 0.0000 0.0000 0.0000  4 F 1.93-2.11
Li: 0.0030 0.5052 0.9898  4 F 1.92-2.11
Li: 0.0270 0.4937 0.5003  5 F 2.00-2.21
Li: 0.0823 0.8328 0.6359  4 F 1.89-1.97
Li: 0.0879 0.3467 0.1685  3 F 1.92-1.99
Li: 0.3372 0.0810 0.1194  4 F 1.89-2.00
Li: 0.3413 0.5580 0.1190  4 F 1.90-1.98
Li: 0.3828 0.3809 0.7429  5 F 1.99-2.21
Li: 0.3866 0.8930 0.2614  3 F 1.89-1.99
Li: 0.5162 0.5033 0.4978  5 F 2.00-2.20
Li: 0.5589 0.8074 0.0716  4 F 1.95-2.12
Li: 0.5767 0.8346 0.6212  4 F 1.85-2.02
Li: 0.5845 0.3179 0.1254  4 F 1.87-1.95
Li: 0.6041 0.3145 0.6360  4 F 1.87-1.98
Li: 0.8313 0.0673 0.6257  4 F 1.91-1.97
Li: 0.8953 0.8731 0.2368  5 F 2.02-2.12
V: 0.1945 0.6861 0.8665  6 F 1.82-2.00
V: 0.2023 0.6956 0.3733  6 F 1.84-1.97
V: 0.2055 0.1924 0.3753  6 F 1.80-1.95
V: 0.2075 0.1952 0.8713  6 F 1.80-2.01
V: 0.7051 0.6935 0.8734  6 F 1.81-1.95
V: 0.7082 0.1895 0.3725  6 F 1.81-1.95
V: 0.7098 0.1950 0.8799  6 F 1.84-1.95
V: 0.7098 0.6914 0.3706  6 F 1.83-1.98
F: 0.0319 0.0267 0.7120  2 Li 1.91-1.93, 1 V 1.92
F: 0.0342 0.7153 0.2283  1 V 1.84
F: 0.0353 0.1874 0.2037  1 V 1.92, 2 Li 1.92-2.11
F: 0.0477 0.5127 0.7103  1 V 1.82
F: 0.0705 0.8229 0.8812  1 V 1.84, 1 Li 2.04
F: 0.0808 0.3293 0.8866  1 V 1.84, 1 Li 2.00
F: 0.0842 0.0501 0.3682  1 V 1.80, 1 Li 2.02
F: 0.0861 0.5349 0.3632  1 V 1.90, 1 Li 2.06
F: 0.1733 0.1624 0.0205  1 Li 1.94, 1 V 2.01
F: 0.1727 0.8446 0.5224  1 V 1.84, 1 Li 1.89
F: 0.1759 0.3591 0.5184  1 V 1.88, 1 Li 2.00
F: 0.1834 0.6484 0.0169  1 V 1.94, 2 Li 1.98-2.11
F: 0.2081 0.7173 0.7184  1 V 1.89, 1 Li 1.92
F: 0.2150 0.5288 0.2030  2 Li 1.95-1.99, 1 V 1.97
F: 0.2403 0.2365 0.7407  1 V 1.84, 1 Li 1.99
F: 0.2466 0.0304 0.2265  1 V 1.95, 2 Li 1.99-2.00
F: 0.3216 0.3302 0.3620  1 V 1.88, 1 Li 2.03
F: 0.3279 0.0610 0.8795  1 V 1.80
F: 0.3387 0.8353 0.3797  1 Li 1.89, 1 V 1.89
F: 0.3553 0.5843 0.8852  1 V 1.87, 1 Li 2.07
'''

They should root after a few weeks and be ready for potting up in early winter.

Saskatoon seeds sown outdoors in cellular seed trays a few weeks ago, after a period of six weeks in the fridge have started to germinate. This was not planned, and if they continue to germinate they will have to be overwintered in my cold greenhouse otherwise the young seedlings may suffer from frosts.

_Between two parts of the text: data records_
┌──
A relaxed structure of LaGdTl2, computed with PBE.

Values from the calculation:
Final energy (eV/atom): -6.34
Crystal system: cubic
SG: Fm-3m, No. 225

Unit cell a=5.556 b=5.556 c=5.556 alpha=60.00 beta=60.00 gamma=60.00
Sites, in units of the cell vectors:
1 Tl 0.750 0.750 0.750
2 Gd 0.500 0.500 0.500
3 La 0.000 0.000 0.000
4 Tl 0.250 0.250 0.250

***

A relaxed structure of Li3Gd, computed with PBE.

Values from the calculation:
Final energy (eV/atom): -4.79
Crystal system: hexagonal
SG: P6_3/mmc, No. 194

Unit cell a=6.419 b=6.419 c=5.040 alpha=90.00 beta=90.00 gamma=120.00
Sites, in units of the cell vectors:
1 Li 0.299 0.150 0.750
2 Li 0.701 0.850 0.250
3 Li 0.850 0.701 0.750
4 Gd 0.667 0.333 0.250
5 Li 0.150 0.850 0.250
6 Li 0.850 0.150 0.750
7 Li 0.150 0.299 0.250
8 Gd 0.333 0.667 0.750

***

A relaxed structure of LiGdS2O8, computed with PBE.

Values from the calculation:
Final energy (eV/atom): -7.25
Crystal system: tetragonal
Corrected total energy (MP2020 scheme) (eV/atom): -7.7106
SG: P-4n2, No. 118

Unit cell a=7.651 b=7.651 c=5.971 alpha=90.00 beta=90.00 gamma=90.00
Sites, in units of the cell vectors:
1 O 0.817 0.588 0.930
2 S 0.279 0.779 0.250
3 O 0.206 0.100 0.844
4 Gd 0.500 0.000 0.750
5 O 0.088 0.317 0.570
6 S 0.779 0.721 0.750
7 O 0.588 0.183 0.070
8 Li 0.500 0.000 0.250
9 O 0.706 0.400 0.344
10 Gd 0.000 0.500 0.250
11 O 0.400 0.294 0.656
12 S 0.721 0.221 0.250
13 S 0.221 0.279 0.750
14 O 0.600 0.706 0.656
15 O 0.412 0.817 0.070
16 O 0.183 0.412 0.930
17 O 0.683 0.088 0.430
18 O 0.100 0.794 0.156
19 O 0.317 0.912 0.430
20 O 0.794 0.900 0.844
21 O 0.900 0.206 0.156
22 O 0.294 0.600 0.344
23 O 0.912 0.683 0.570
24 Li 0.000 0.500 0.750

***

Ordered DFT formation energy results: -0.403; 0.163; -2.390; unit eV per atom.

=====

This record from the Materials Project describes crystalline CeU5O12 at its relaxed geometry. The functional is meta-GGA r2SCAN.

E_form = -67.70 eV per formula unit

a = 6.667 Å, b = 11.479 Å, c = 6.726 Å
α = 90.00°, β = 108.94°, γ = 90.00°
Space group C2/m (No. 12)
Asymmetric unit:
Ce: 0.000 0.000 0.000 (multiplicity 2)
U: 0.000 0.167 0.500 (multiplicity 4)
U: 0.000 0.333 0.000 (multiplicity 4)
U: 0.000 0.500 0.500 (multiplicity 2)
O: 0.109 0.500 0.860 (multiplicity 4)
O: 0.122 0.330 0.380 (multiplicity 8)
O: 0.128 0.000 0.385 (multiplicity 4)
O: 0.135 0.167 0.874 (multiplicity 8)
└──

Wallflowers grown from seed are very slow to bulk up so I will wait another week before they get lifted and planted out in the spring flower beds and tubs.
Harvest glasshouse crops

1.
Density functional theory data (GGA-PBE) for CaAl2Si6O20 after structural relaxation.

Summary:
Crystal system ... monoclinic
E_form ... -2588.1 meV per atom
Energy relative to the lowest polymorph listed for this composition ... 0 meV/atom
Mass density ... 2.11 g/cm3

Cell: 14.1407 6.8749 10.1348 Å, 68.81 90.00 90.00°
Sites, in units of the cell vectors:
Ca  0.2162  0.9549  0.9266
Ca  0.7838  0.9549  0.4266
Al  0.0076  0.0012  0.5005
Al  0.9924  0.0012  0.0005
Al  0.3560  0.6058  0.1503
Al  0.6440  0.6058  0.6503
Si  0.1502  0.6581  0.4836
Si  0.8498  0.6581  0.9836
Si  0.0376  0.2913  0.6921
Si  0.9624  0.2913  0.1921
Si  0.1248  0.5918  0.1929
Si  0.8752  0.5918  0.6929
Si  0.4752  0.9755  0.9391
Si  0.5248  0.9755  0.4391
Si  0.3729  0.6420  0.4620
Si  0.6271  0.6420  0.9620
Si  0.4999  0.2606  0.1217
Si  0.5001  0.2606  0.6217
O  0.1025  0.8822  0.4529
O  0.8975  0.8822  0.9529
O  0.0445  0.1461  0.5986
O  0.9555  0.1461  0.0986
O  0.0787  0.8117  0.0886
O  0.9213  0.8117  0.5886
O  0.1121  0.4865  0.6338
O  0.8879  0.4865  0.1338
O  0.1242  0.5719  0.3572
O  0.8758  0.5719  0.8572
O  0.0692  0.3892  0.1839
O  0.9308  0.3892  0.6839
O  0.0653  0.1505  0.8556
O  0.9347  0.1505  0.3556
O  0.2636  0.6699  0.4986
O  0.7364  0.6699  0.9986
O  0.2316  0.6061  0.1289
O  0.7684  0.6061  0.6289
O  0.4315  0.8295  0.4885
O  0.5685  0.8295  0.9885
O  0.4826  0.1657  0.9979
O  0.5174  0.1657  0.4979
O  0.3796  0.8378  0.9998
O  0.6204  0.8378  0.4998
O  0.4101  0.4207  0.5789
O  0.5899  0.4207  0.0789
O  0.3867  0.6457  0.3037
O  0.6133  0.6457  0.8037
O  0.4055  0.3805  0.1390
O  0.5945  0.3805  0.6390
O  0.4686  0.0718  0.7668
O  0.5314  0.0718  0.2668
O  0.2494  0.0229  0.6778
O  0.7506  0.0229  0.1778
O  0.2356  0.1012  0.1157
O  0.7644  0.1012  0.6157
O  0.2846  0.3047  0.8403
O  0.7154  0.3047  0.3403
O  0.1537  0.6615  0.8685
O  0.8463  0.6615  0.3685


2.
Density functional theory data (GGA-PBE) for CaAl2Si2O8 after structural relaxation.

Summary:
Crystal system ... trigonal
E_form ... -3426.4 meV per atom
Energy relative to the lowest polymorph listed for this composition ... 0 meV/atom
Mass density ... 2.68 g/cm3

Cell: 5.1522 5.1522 14.9897 Å, 90.00 90.00 60.00°
Sites, in units of the cell vectors:
Ca  0.0000  0.0000  0.5000
Ca  0.0000  0.0000  0.0000
Al  0.6666  0.6667  0.6422
Al  0.3334  0.3333  0.3578
Al  0.6667  0.6667  0.1422
Al  0.3333  0.3333  0.8578
Si  0.3333  0.3333  0.6367
Si  0.6667  0.6667  0.3633
Si  0.3334  0.3333  0.1367
Si  0.6666  0.6667  0.8633
O  0.3772  0.0128  0.5976
O  0.0128  0.6100  0.5976
O  0.6100  0.3772  0.5976
O  0.6228  0.9872  0.4024
O  0.9872  0.3900  0.4024
O  0.3900  0.6228  0.4024
O  0.6100  0.0128  0.0976
O  0.0129  0.3772  0.0976
O  0.3772  0.6100  0.0976
O  0.3900  0.9872  0.9024
O  0.9871  0.6228  0.9024
O  0.6228  0.3900  0.9024
O  0.6666  0.6667  0.7568
O  0.3333  0.3333  0.7432
O  0.3334  0.3333  0.2432
O  0.6667  0.6667  0.2568


3.

I am now picking the Black Hamburg which fortunately ripens slowly over a long period so they keep me supplied with grapes right up to December. Although I never thin them they are still quite large, very black, juicy and sweet. Thinning grapes in our Scottish climate can risk infection from botrytis, so I never take that risk, and always allow them ample ventilation to keep the air flowing freely around the bunches.
Take care of house plants
Phalaenopsis orchids are now budding up, so they will get more water and feeding to encourage a strong healthy flower spike. They seem to love the warm moist atmosphere in our bathroom where the sun warms up the room through frosted glazing.
Amaryllis (Hippeastrum) bulbs can now be potted up for flowering in winter. Plant them in a pot just a wee bit wider than the bulb and leave half the bulb above the compost. They can flower in about ten weeks after potting up so they may be in flower for Christmas. The flower is produced before the leaves which emerge much later.
Christmas cactus, (Zygocactus) will soon be showing some evidence of flower buds, so as soon as they start to show colour, after their long dormant period over summer, commence watering to bring the plants into growth. They often flower from mid November to mid December, and sometimes put on a display twice in the same season.